**Job**
Start at the top of the lines further down and give back each line, ending with the one that has "Cartesian".
**Entries**
=====
# Ca3W2O9
Calculated powder X-ray diffraction pattern, Cu Kα (λ = 1.5418 Å). Input: a structure optimized by DFT (PBE+U).
No peak broadening, texture or thermal motion is included.

Crystal structure
```
Ca3W2O9
1.0
8.6590 0.0000 0.0000
0.0000 7.7753 0.0000
-4.3177 0.0000 8.3983
Ca W O
6 4 18
Cartesian
0.0000 0.0000 0.0000
0.0000 3.8876 0.0000
-2.1300 1.9438 6.4832
2.1816 1.9438 1.9248
2.1597 5.8315 6.4735
6.4713 5.8315 1.9151
-1.8212 5.8315 5.9854
2.5010 5.8315 2.4032
1.8403 1.9438 5.9951
6.1625 1.9438 2.4129
-1.8554 5.8315 4.1857
-2.6583 4.3338 6.6270
-2.6583 7.3291 6.6270
1.0855 1.9438 0.0027
1.6542 4.3337 1.7750
1.6542 7.3293 1.7750
-0.1009 5.8315 6.5301
0.1294 1.9438 6.5689
1.8442 1.9438 4.1951
2.4971 5.8315 4.2032
4.2120 5.8315 1.8294
4.4422 1.9438 1.8682
2.6871 0.4460 6.6233
2.6871 3.4416 6.6233
3.2558 5.8315 8.3956
6.9996 0.4462 1.7713
6.9996 3.4414 1.7713
6.1967 1.9438 4.2126
```

Main lines, sorted by position (2θ from 10° to 90°):
d_spacing, intensity
5.470, 60
4.329, 60
4.199, 54
=====
**Worked solution**
# Ca3W2O9
Calculated powder X-ray diffraction pattern, Cu Kα (λ = 1.5418 Å). Input: a structure optimized by DFT (PBE+U).
No peak broadening, texture or thermal motion is included.

Crystal structure
```
Ca3W2O9
1.0
8.6590 0.0000 0.0000
0.0000 7.7753 0.0000
-4.3177 0.0000 8.3983
Ca W O
6 4 18
Cartesian